From turtle rescues to trenches: How Consumers Energy is constructing a $550M pipeline in Michigan
A parade of backhoes and earthmovers clank over M-52 north of Chelsea in Washtenaw County.
They skirt a trench the depth of a two-story house and rumble up the hill, dust clouding behind them. Crews clad in neon green and hardhats scramble to collect old tires that formed a pathway for the machinery’s metal treads over the highway. Radios squawk.
Soon, a drilling rig controlled by a joystick will pull a new segment of pipeline below the roadway and into the trench.
From there, it will continue, uninterrupted, for dozens of miles across five counties, eventually bringing natural gas to heat homes across the state and replacing a parallel line dating back to the 1940s.
To the untrained eye, it’s a chaotic scene.
But to Consumers Energy engineers, the $550-million pipeline project is an efficient machine — one made possible by years of planning and careful attention to the little details, down to the tadpoles who live in its path.
“There’s a lot of thought that goes into the construction work,” said Lindsey Johnson, principal environmental engineer with the Consumers project. “How can we make sure nature is still able to do its thing, and we’re still able to do ours in conjunction?”
The Jackson-based utility’s planners say this summer’s ongoing construction illustrates their approach.
Many hurdles had to be cleared to get to the point where some 500 people are out in the field six days a week along the pipeline’s construction path between Chelsea and Williamston. Snakes and bats had to be counted. Property easements arranged. A slew of permits were applied for.
Today, the project marches ahead. Here’s what it looks like from the inside.
Turtle catchers on patrol
Two men in chest-high rubber waders and boots trundle through the work zone, lugging a plastic bin between them. Inside, water sloshes back and forth and so do a half-dozen painted turtles.
The reptiles found themselves on the wrong side of an orange silt fence at the edge of the pipeline’s right-of-way — intentionally fluorescent to designate sensitive habitat.
Luckily, they met two herpetologists who are part of a team of some dozen wildlife specialists who patrol the work zones each morning looking for frogs, turtles, snakes, and other creatures.
Their work started two years earlier, with monitoring to compile data on species along the route, including the Eastern Massasauga Rattlesnake.
Michigan’s only venomous rattler is listed as a threatened species, and its habitat guided re-routes of the pipeline project, Lindsey Johnson said.
Zach Johnson and his partner Zac Wigington, with Grass Lake-based Herpetological Resource and Management, knee-deep in mud, gently drop turtles into a bog on the other side of the orange fence along the pipeline.
Michiganders take painted turtles for granted, Zach Johnson said.
“Hopefully we can keep them common,” he said. “They won’t be common if we don’t keep doing this.”
In the work zone, the wildlife teams also trap Blanding’s turtles, a “species of concern” in Michigan, and collect eggs for incubation and later release back into the wild.
The article is interrupted by calculated molecules >
┌──
# 1
Density functional theory data (the ωB97M-V functional and the def2-TZVPD basis) for a cluster of 5 separate species, CH14N2O4 in total in a non-equilibrium geometry.

SMILES = NCN.O.O.O.O
Molar mass = 118.133 Da
HOMO level = -0.328 Eh
Energy relative to the best compared isomer or geometry (same formula, charge and spin) = 53.53 kcal/mol
Orbital gap = 8.926 eV

```
21
Properties=species:S:1:pos:R:3:forces:R:3
N 2.615 -1.799 0.525 1.8 0.6 -0.8
C 2.044 -1.042 1.662 2.0 1.7 0.8
N 0.679 -0.958 2.033 -1.4 -1.8 -1.0
H 2.120 -2.018 -0.306 -1.5 0.0 -0.4
H 3.490 -1.370 0.119 -1.2 -0.4 1.2
H 2.544 -1.504 2.489 0.2 -0.4 0.8
H 2.431 0.003 1.774 0.0 -0.5 -1.0
H 0.056 -0.621 1.272 0.9 -0.4 1.1
H 0.418 -1.920 2.277 -0.4 0.5 0.0
O -2.684 2.668 0.737 -0.2 0.4 -1.6
H -2.039 2.195 1.266 0.2 0.1 0.0
H -2.374 2.811 -0.202 -0.1 -0.1 1.8
O -0.286 0.695 0.202 -0.8 1.3 -0.3
H -0.798 1.535 0.208 0.9 -1.0 -0.4
H 0.284 0.697 -0.571 0.0 0.2 -0.1
O -3.207 0.301 -1.040 -0.1 -1.8 -2.0
H -3.057 -0.304 -0.335 0.2 -1.2 0.6
H -3.195 1.084 -0.569 -0.3 2.9 1.4
O 1.477 -0.385 -3.515 2.4 0.3 -1.2
H 1.795 -1.147 -3.041 -0.6 -0.2 0.4
H 0.610 -0.116 -3.333 -1.8 -0.1 0.8
```
Positions in Å, forces in eV/Å.


# 2
Density functional theory data (the ωB97M-V functional and the def2-TZVPD basis) for the ion C8H14OP with charge -1 in a non-equilibrium geometry.

Molar mass = 157.173 Da
Total charge = -1
HOMO level = -0.131 Eh
Energy relative to the best compared isomer or geometry (same formula, charge and spin) = 0.00 kcal/mol
Orbital gap = 7.391 eV

```
24
Properties=species:S:1:pos:R:3:forces:R:3
C 3.282 0.679 0.901 0.3 -0.5 0.0
C 2.696 -0.758 0.771 -0.1 0.3 1.3
O 1.309 -0.787 0.591 0.4 0.1 -0.3
P 0.763 -0.352 -1.032 -0.2 0.2 -0.6
C -1.020 -0.040 -0.388 0.7 -0.4 0.0
C -1.345 0.695 0.735 -0.1 0.1 -0.1
C -2.684 0.881 1.069 0.4 0.6 0.9
C -3.692 0.339 0.313 -1.0 -0.2 -0.5
C -3.382 -0.403 -0.824 0.0 0.1 0.3
C -2.049 -0.580 -1.141 -0.3 -0.5 -0.6
H 3.717 1.030 -0.042 -0.2 0.1 0.2
H 2.515 1.384 1.241 0.0 -0.2 -0.2
H 4.061 0.654 1.682 0.0 0.1 -0.4
H 3.257 -1.366 0.040 -0.2 0.3 -0.1
H 2.881 -1.233 1.755 -0.1 0.0 -0.3
H 1.094 1.046 -0.788 -0.1 0.2 0.1
H 2.098 -0.521 -1.616 0.1 -0.2 0.2
H 0.436 -1.757 -1.255 -0.1 -0.1 -0.1
H 0.274 -0.039 -2.378 0.0 0.1 0.0
H -0.556 1.145 1.336 -0.1 -0.1 -0.1
H -2.923 1.488 1.945 -0.1 -0.2 -0.1
H -4.743 0.495 0.557 0.2 0.1 0.1
H -4.174 -0.828 -1.442 0.2 0.1 0.1
H -1.815 -1.171 -2.032 0.2 0.1 0.2
```
Positions in Å, forces in eV/Å.


# 3
Density functional theory data (the ωB97M-V functional and the def2-TZVPD basis) for a structure of composition C18H32CoO6S2Sb in a non-equilibrium geometry.

2S+1 = 4
Molar mass = 589.275 Da
Total charge = -1
HOMO level (alpha / beta) = -0.138 / -0.207 Eh
Energy relative to the best compared isomer or geometry (same formula, charge and spin) = 0.00 kcal/mol
Orbital gap (alpha / beta) = 6.404 / 8.245 eV

```
60
Properties=species:S:1:pos:R:3:forces:R:3
Co 1.693 0.560 -0.633 0.0 3.1 -2.5
O 4.286 -1.707 -1.591 -0.6 1.1 0.2
└──
End of the calculated molecules >
So far, they’ve removed more than 2,000 animals from the right-of-way, and have incubated almost 200 turtle eggs, Lindsey Johnson said. In the area north of Stockbridge where Wigington and Zach Johnson were working, crews marked and protected a fox den, where a mother and three young cubs lived.
Still, the pipeline work can be destructive. Trees must be cleared for 30 feet on either side of the new pipeline, and the route traverses wetlands, streams, and four state parks.
That’s why the herpetologists’ work is so important, Consumer engineers say. They’ve tried to implement environmentally-friendly techniques, like reusing felled trees as basking areas for turtles, and placing bales of straw, jute, and coconut fiber to minimize erosion, Lindsey Johnson said.
Zach Johnson said that the turtle spotters get help from heavy equipment operations as they sometimes have a better vantage point.
“That’s the culture that we’re trying to create — that everything matters, and every creature matters,” Lindsey Johnson said.
Planning for the massive pipeline project began early
The pipeline under construction this year is the first phase of a two-year replacement effort ultimately spanning Washtenaw, Livingston, Ingham, Shiawassee, and Clinton counties.
The existing pipeline was reaching the end of its useful life, and even with Consumers’ clean energy plan it needed to be upsized for reliability in delivering natural gas to customers, said Juliet Matko, a Consumers project manager.
The line carries gas purchased by the utility at the Ohio and Indiana state lines, as well as north from Canada. It’s most active during the summer when Consumers buy the fuel at a lower rate and puts it into storage fields for use during the winter heating season, Matko said.
Consumers began planning to replace the aging line in 2016, she said, and it was approved by the Michigan Public Service Commission in 2020.
The design for the most part uses “parallel construction,” where the new 36-inch pipeline is installed alongside the existing 20-inch line, which will be emptied and decommissioned.
The undertaking involved working with scores of landowners along the route, with access to some of their property secured via eminent domain proceedings. Not all are supportive of the project, with some objecting to the route’s impact during the permitting process and others bemoaning the tree-cutting involved.
The utility has worked with the Michigan Department of Natural Resources to minimize the distribution of critical habitat, Matko said.
At 17 points along the construction this year, crews are using horizontal directional drilling, where a machine bores into the ground and then pulls the pipe with it, reducing above-ground disturbance.
The technique is used to get under highways, like M-52, sensitive waterways, and natural areas. It’s also costly and puts the pipeline deeper than normal, so it can’t be used across the whole project, Matko said.
Construction works like ‘assembly line,’ engineers say
By the fall, some 30 miles will be complete, and that’s because things are moving quickly.
“Think of an assembly line but the product stays still and the crews are the ones that move,” Matko said. “It’s very efficient.”
Workers with Consumers contractor, Snelson Companies, Inc., mark the right-of-way. Tree clearing happened over the winter, in part to reduce the spread of oak wilt and ensure roosting bats aren’t present.
Then, another team installs fencing to prevent erosion and lays down temporary mats for machinery. The area is graded and then 80-foot segments of pipeline are trucked in and placed.
# 1
Below is a 9-piece molecular cluster, C45H53IN13O2P2 overall in a non-equilibrium geometry, with properties calculated with the ωB97M-V functional and the def2-TZVPD basis.

Calculated values
Strongest force on any atom = 4.66 eV Å⁻¹
E_LUMO = -4.123 eV
Calculated total energy = -3588.885643 hartree

Geometry as ORCA input:
```
! RIJCOSX wB97M-V def2-TZVPD def2/J DEFGRID3
* xyz 1 1
C 1.755 1.160 3.023
C 1.713 1.048 1.642
N 0.690 1.605 0.735
C -0.436 0.702 0.574
N -0.392 -0.473 -0.028
N -1.685 1.150 1.177
P -3.046 1.312 0.061
N -4.352 1.859 0.803
O -2.551 2.385 -1.145
O -3.401 -0.165 -0.650
C -1.403 2.498 1.782
I -1.527 2.288 3.938
C 0.000 2.864 1.110
P 0.959 4.337 1.790
N 2.540 4.141 1.869
H 1.436 2.040 3.636
H 2.221 0.295 3.583
H 2.574 0.506 1.152
H 0.339 -0.702 -0.712
H -1.034 -1.241 0.206
H -4.606 2.759 0.369
H -3.314 2.943 -1.392
H -4.367 -0.154 -0.840
H -2.195 3.274 1.574
H -0.348 3.254 0.093
H 0.351 4.673 3.051
H 0.683 5.435 0.900
H 2.961 4.851 1.252
N -2.676 5.708 -3.418
C -2.511 6.448 -4.522
C -1.746 6.052 -5.608
C -1.111 4.821 -5.549
C -1.264 4.037 -4.415
C -2.053 4.523 -3.386
H -3.024 7.403 -4.520
H -1.650 6.690 -6.477
H -0.502 4.476 -6.377
H -0.783 3.071 -4.334
H -2.207 3.947 -2.483
N 0.569 0.856 7.301
C -0.748 0.612 7.343
C -1.297 -0.659 7.394
C -0.435 -1.745 7.399
C 0.932 -1.520 7.354
C 1.380 -0.210 7.308
H -1.382 1.494 7.335
H -2.370 -0.796 7.429
H -0.825 -2.756 7.437
H 1.635 -2.344 7.356
H 2.441 0.017 7.276
N -2.607 -5.211 -0.591
C -2.993 -3.931 -0.670
C -3.447 -3.332 -1.833
C -3.505 -4.099 -2.988
C -3.110 -5.427 -2.935
C -2.674 -5.932 -1.719
H -2.927 -3.371 0.258
H -3.747 -2.293 -1.835
H -3.853 -3.666 -3.919
H -3.141 -6.056 -3.816
H -2.358 -6.966 -1.626
N 1.102 -6.419 1.648
C 2.188 -5.845 2.184
C 2.444 -4.484 2.139
C 1.526 -3.666 1.499
C 0.394 -4.235 0.934
C 0.228 -5.607 1.037
H 2.878 -6.526 2.670
H 3.338 -4.075 2.592
H 1.691 -2.594 1.442
H -0.346 -3.629 0.426
H -0.642 -6.096 0.614
N -6.968 -1.798 -0.291
C -7.871 -0.835 -0.054
C -9.043 -0.682 -0.778
C -9.297 -1.572 -1.811
C -8.378 -2.576 -2.078
C -7.239 -2.646 -1.294
H -7.626 -0.162 0.761
H -9.738 0.112 -0.540
H -10.202 -1.485 -2.401
H -8.543 -3.288 -2.877
H -6.491 -3.416 -1.460
N 7.692 5.149 2.121
C 6.370 4.934 2.164
C 5.792 3.676 2.225
C 6.628 2.571 2.240
C 8.001 2.763 2.195
C 8.480 4.061 2.139
H 5.757 5.829 2.147
H 4.714 3.566 2.259
H 6.215 1.570 2.286
H 8.684 1.923 2.205
H 9.546 4.262 2.106
N 10.659 7.475 -2.234
C 9.774 6.779 -1.507
C 10.032 6.293 -0.236
C 11.279 6.535 0.318
C 12.215 7.250 -0.414
C 11.857 7.696 -1.676
H 8.814 6.613 -1.985
H 9.277 5.739 0.307
H 11.521 6.170 1.310
H 13.199 7.458 -0.014
H 12.552 8.263 -2.286
N -4.213 -7.531 -5.343
C -5.520 -7.829 -5.330
C -6.017 -9.119 -5.249
C -5.113 -10.167 -5.182
C -3.755 -9.888 -5.196
C -3.360 -8.563 -5.276
H -6.189 -6.976 -5.387
H -7.084 -9.299 -5.239
H -5.462 -11.191 -5.119
H -3.020 -10.680 -5.146
H -2.308 -8.294 -5.286
*
```
**So much for the records of molecules:**
Specialized welders carrying their power on the backs of pickups join the segments, and workers use X-ray and pressure testing to evaluate them before they’re placed in the ground.
Finally, trenches are dug, the pipeline placed and the soil replaced. When crossing streams or wetlands, crews have to keep them flowing with pumps and often work shifts exceeding 12 hours to complete the work in one sitting, Matko said.
Consumers have developed several seed mixes for restoring the pipeline area, including some based on native plants that serve pollinators, Lindsey Johnson said.
“We’ve taken a lot of deliberate time in picking materials that are good for the environment and useful for our business partners that are out there working for us,” she said.
Drive around the work area north of Chelsea, and you’ll likely see all stages of the process. Work won’t stop until the pipeline is serviceable this fall.
And next year, the whole thing will begin again on the remaining 25 miles to the north, while some crews go back to put the final touches on restoration to the south.